Disability Policy

Statement on Diversity

Our staff and students come in all shapes and sizes, have diverse backgrounds and possess a range of talents and abilities.

As an organisation that welcomes 9,500 students from 23 nations diversity is at the heart of what we do.

We can only meet the multiple expectations of our students by attracting and recruiting people from every section of the community. The variety of the programmes we offer demand that for their successful implementation we draw on the talents and abilities of all.

We’re fully committed to equal opportunities and consider applications solely on the basis of merit – regardless of age, gender, race, ethnic origin, religion, disability, marital status or sexual orientation.

Disability Statement:

Malvern House is committed to ensuring that people with disabilities, including those with learning difficulties, and/or known medical conditions are treated fairly and given equal access to all our services.

We will make all reasonable adjustments to ensure that learners with a disability learning difficulty or known medical condition are not substantially disadvantaged.

The organisation wishes to ensure that we comply with the requirements of the Equality Act 2010 which includes the Disability Discrimination Act (as amended by the Special Educational Needs and Disability Equality Act of 2001 and the Duty to Promote Disability 2005).

What is a ‘Disability’?

The legal definition of a disability as detailed in The Equality Act 2010 [Government Equalities Office, Crown copyright 2010, July 2010] states:

“The protected characteristic of disability applies to a person who has a physical or mental impairment that has a substantial and long-term adverse effect on their ability to carry out normal day-to-day activities.”


  1. Who is the policy for?

This statement will be useful for any learner or potential learners who have disabilities, learning difficulties or known medical condition which impacts on their education.

This may include students who have a history of disability, Progressive illness, Visual impairment, Hearing impairment or are deaf, Disability affecting mobility, Known medical condition, Mental health difficulty, Specific learning difficulty, General Learning difficulty, Literacy difficulty

  1. How should students let MALVERN HOUSE know about their needs?

Students can talk to us at any time either in person at the school, by phone to our enquiry line (020 7520 0470), or by email to: [email protected]

To ensure appropriate support is provided there are many opportunities to disclose. During the admission process, all students will be asked to complete a registration form that asks whether they have a Learning Difficulty /Disability or Medical condition.

During ‘Induction’, students are again informed that the school is able to make all reasonable adjustments for students that have a Learning Difficulty /Disability or Medical condition, and, that they can discuss any need they may have confidentially with the School Principal at their convenience. In addition, they are advised that materials are available in ‘Large Print’ upon request, and, that the school has a ‘Hearing Loop’ should they require it.

Should a student disclose that they have an additional support need, they will be asked about the nature of their disability or learning difficulty and have an opportunity to discuss, in complete confidence, any particular needs they will have as a learner at Malvern House School. With the student’s permission, this information will be passed onto appropriate individuals on a ‘need to know’ basis.

Students may disclose at any time while at the School – although the sooner and the more information we receive the quicker support provision can be put into place.

Any disclosure of learning difficulty, disability or known medical condition will only be used to help us ensure that we make reasonable adjustments which are deemed appropriate.

  1. Who provides the support?

School Administrators, Activity Leaders/Social Programme Organiser, Course tutors, the Director of Study and the School Principal/Operations Manager, Host Families, etc. may be able to provide all the support students need as long as they let them know about the nature of their needs.

If a student needs additional support, we have also have a learning support  programme. Tutors here will work with students to assess if, and how, we can support them. They will arrange the more specialist support that we can provide.

  1. What support may be available?

Support varies depending on each individual’s needs but could include:

Interview with Learning Support tutors, Interview with the Director of Study and/or School Principal/Operations Manager, adapted learning materials, use of specialist equipment, loan of assistive technology equipment, access arrangements for examinations , learning/learner support assistance offered1‐1, in small groups or on‐course, additional tutorial support, referral/signposting to specialist support services offered by external providers,

  1. Technology and Equipment Available

(i) A mobile ‘Hearing Loop’ system is available from reception. This is to allow hearing-impaired students within the classroom environment.

(ii) Where applicable, we have ensured that our lifts a designed primarily for use by people with disabilities that affect their mobility.

(iii) Tape recorders and dictaphones are available to help students record lessons.

(iv) Photocopiers and scanners are available to produce all necessary documents in Large Print

It may be possible for MALVERN HOUSE to provide students with other, specific items of equipment; if not, we will help students identify, source and purchase these items at best value rates.

Examination Arrangements

If you students let us know about their specific requirements, we can liaise with examining/validating bodies on their behalf. We can, when appropriate and within the rules of each awarding body, arrange the following:-

(i) Computer facilities with Spell Checker can be made available for registered dyslexic students in a separate room during examinations.

(ii) Scribed or taped evidence towards examinations/assessments can be provided after negotiation with students, Examining Bodies and External Verifiers, where appropriate. Spoken examination questions can sometimes be arranged, with the appropriate examiner present. Additional time is granted at an appropriate rate dependent upon circumstances.

Next to the piece, the page also holds records of crystals =
........
[1]
A relaxed structure of Pt3Rh, computed with GGA-PBE.

```
Pt3Rh
1.0
5.520 0.000 0.000
0.000 4.668 0.000
0.000 0.000 4.773
Pt Rh
6 2
Direct
0.751 0.000 0.168
0.249 0.000 0.168
0.749 0.500 0.832
0.500 0.000 0.666
0.251 0.500 0.832
0.000 0.500 0.334
0.500 0.500 0.334
0.000 0.000 0.666
```

Results
Calculated formation energy   36 meV/atom
Crystal system   orthorhombic

---

[2]
A relaxed structure of PtRh, computed with GGA-PBE.

```
PtRh
1.0
2.768 0.000 0.000
1.384 2.397 0.000
1.384 0.799 4.500
Pt Rh
1 1
Direct
0.000 0.000 0.000
0.500 0.500 0.500
```

Results
Calculated formation energy   -11 meV/atom
Crystal system   trigonal

---

[3]
A relaxed structure of PtRh3, computed with GGA-PBE.

```
PtRh3
1.0
4.737 -0.002 -0.002
3.945 2.623 -0.002
-9.474 -2.860 4.687
Rh Pt
3 1
Direct
0.007 0.007 0.254
0.000 0.000 0.500
0.993 0.993 0.746
0.000 0.000 0.000
```

Results
Calculated formation energy   0 meV/atom
Crystal system   monoclinic

---

[4]
A relaxed structure of Pt3Rh, computed with GGA-PBE.

```
Pt3Rh
1.0
-3.260 -0.509 -2.154
-0.885 -3.215 2.099
0.047 4.080 2.571
Pt Rh
3 1
Direct
0.500 0.500 0.000
0.750 0.250 0.500
0.250 0.750 0.500
0.000 0.000 0.000
```

Results
Calculated formation energy   -25 meV/atom
Crystal system   tetragonal

---

[5]
A relaxed structure of PtRh3, computed with GGA-PBE.

```
PtRh3
1.0
-2.124 2.903 2.517
-1.004 3.966 -1.592
-4.179 1.020 -0.874
Rh Pt
3 1
Direct
0.500 0.500 0.500
0.250 0.250 0.250
0.750 0.750 0.750
0.000 0.000 0.000
```

Results
Calculated formation energy   268 meV/atom
Crystal system   cubic

---

[6]
A relaxed structure of PtRh3, computed with GGA-PBE.

```
PtRh3
1.0
4.860 0.000 0.000
0.000 4.860 0.000
0.000 0.000 4.860
Pt Rh
1 3
Direct
0.000 0.000 0.000
0.500 0.000 0.000
0.000 0.000 0.500
0.000 0.500 0.000
```

Results
Calculated formation energy   1957 meV/atom
Crystal system   cubic

---

[7]
A relaxed structure of Pt4Rh, computed with GGA-PBE.

```
Pt4Rh
1.0
-1.818 1.818 6.528
1.818 -1.818 6.528
1.818 1.818 -6.528
Pt Rh
4 1
Direct
0.404 0.404 0.000
0.596 0.596 0.000
0.250 0.750 0.500
0.750 0.250 0.500
0.000 0.000 0.000
```

Results
Calculated formation energy   423 meV/atom
Crystal system   tetragonal
Energy above the lowest structure with this stoichiometry   445.6 meV per atom

---

[8]
A relaxed structure of Pt4Rh, computed with GGA-PBE.

```
Pt4Rh
1.0
-1.297 -3.492 -5.025
0.139 -5.152 3.545
-2.499 -4.127 -0.381
Pt Rh
4 1
Direct
0.799 0.601 0.000
0.399 0.799 0.000
0.601 0.201 0.000
........

(iii) Separate rooms are provided when circumstances demand. Doctor‟s certification is required before this facility is granted due to invigilation requirements.